Next, count the lines below that contain the word "weight" and give the number alone.
- - -
[1]
Below is 5 unconnected molecules or ions with the total composition C15H15F5O15 at a distorted geometry, with properties calculated with ωB97M-V/def2-TZVPD.

The geometry in ORCA input format:
```
! wB97M-V def2-TZVPD RIJCOSX def2/J DEFGRID3
* xyz 0 1
O -16.106 11.997 4.148
C -15.158 12.556 3.603
O -14.287 11.899 2.801
C -13.324 12.842 2.366
C -13.489 14.087 3.205
F -13.516 15.114 2.280
O -14.743 13.860 3.831
H -12.282 12.529 2.289
H -13.671 13.085 1.362
H -12.753 14.345 3.966
O -10.393 18.194 -0.884
C -11.207 18.776 -0.171
O -12.315 19.430 -0.529
C -12.801 20.147 0.516
C -11.931 19.870 1.694
F -12.659 19.414 2.704
O -11.095 18.884 1.188
H -12.862 21.220 0.334
H -13.809 19.798 0.741
H -11.319 20.697 2.053
O -14.693 16.196 -0.128
C -14.060 16.870 -0.904
O -12.725 16.835 -1.048
C -12.340 17.721 -2.075
C -13.595 18.592 -2.285
F -13.686 18.666 -3.656
O -14.597 17.798 -1.710
H -11.409 18.163 -1.719
H -12.127 17.155 -2.982
H -13.575 19.614 -1.908
O -15.806 19.142 2.554
C -14.796 18.477 2.423
O -14.036 18.413 1.304
C -13.253 17.277 1.295
C -13.104 16.993 2.741
F -12.154 17.774 3.250
O -14.323 17.518 3.211
H -13.812 16.433 0.893
H -12.282 17.470 0.839
H -12.882 15.951 2.974
O -13.507 20.624 5.838
C -14.183 19.582 5.666
O -13.745 18.410 5.149
C -14.785 17.441 5.469
C -16.004 18.392 5.337
F -17.131 17.929 5.995
O -15.492 19.512 5.887
H -14.693 16.587 4.798
H -14.841 17.054 6.487
H -16.267 18.596 4.299
*
```

The value obtained for the HOMO-LUMO gap is 10.26 eV. The calculation puts the max |F| at 9.234 eV Å⁻¹. As for the SMILES: O=C1OC[C@@H](F)O1.O=C1OC[C@@H](F)O1.O=C1OC[C@@H](F)O1.O=C1OC[C@@H](F)O1.O=C1OC[C@@H](F)O1. The molecular weight comes out at 530.26 g/mol.

***

[2]
Below is a molecular structure, C4H11ClIrO8SSi, with properties calculated with ωB97M-V/def2-TZVPD.

The geometry in ORCA input format:
```
! wB97M-V def2-TZVPD RIJCOSX def2/J DEFGRID3
* xyz -1 5
Ir -0.412 1.220 1.033
O 2.377 2.481 3.446
S 1.703 1.409 2.774
O 2.170 0.070 3.038
O 1.663 1.650 1.240
O 0.166 1.478 3.032
O -3.438 3.412 -0.835
Cl -2.616 3.082 0.281
O -2.760 4.010 1.354
O -2.875 1.717 0.749
O -1.182 3.053 -0.146
C 0.234 -3.230 -1.039
Si 0.296 -1.362 -0.898
C -0.664 -0.624 -2.325
C 2.076 -0.821 -0.921
C -0.535 -0.845 0.693
H 0.683 -3.556 -1.982
H -0.794 -3.602 -1.007
H 0.788 -3.698 -0.222
H -0.199 -0.834 -3.291
H -0.731 0.462 -2.210
H -1.684 -1.017 -2.343
H 2.597 -1.153 -1.822
H 2.594 -1.220 -0.045
H 2.148 0.267 -0.851
H -0.011 -1.231 1.576
H -1.593 -1.119 0.721
*
```

The value obtained for the HOMO-LUMO gap (alpha / beta) is 8.28 / 7.90 eV. As for the expectation value of S²: 6.0081. The calculation puts the max |F| at 0.393 eV Å⁻¹. The molecular weight comes out at 474.95 g/mol.

***

[3]
Below is 13 unconnected molecules or ions with the total composition C13H40BNO20 at a distorted geometry, with properties calculated with ωB97M-V/def2-TZVPD.

The geometry in ORCA input format:
```
! wB97M-V def2-TZVPD RIJCOSX def2/J DEFGRID3
* xyz -2 1
C 2.131 -18.146 -1.761
C 2.594 -19.168 -0.643
C 3.857 -19.801 -1.239
C 5.065 -18.884 -1.390
C 5.441 -18.224 0.005
C 4.249 -17.532 0.783
N 2.996 -18.308 0.559
O 1.988 -18.013 1.493
C 4.153 -16.082 0.217
C 4.731 -17.486 2.268
C 1.586 -20.263 -0.488
H 2.033 -18.603 -2.746
H 2.789 -17.277 -1.780
H 1.227 -17.761 -1.289
H 3.655 -20.350 -2.159
H 4.150 -20.576 -0.530
H 4.895 -18.158 -2.185
H 5.914 -19.489 -1.708
H 6.105 -17.440 -0.359
H 6.047 -18.891 0.617
H 4.240 -16.058 -0.869
H 4.889 -15.382 0.613
H 3.183 -15.641 0.448
H 5.800 -17.329 2.408
H 4.586 -18.496 2.652
H 4.218 -16.709 2.834
H 0.582 -19.890 -0.287
H 1.875 -21.034 0.226
H 1.449 -20.793 -1.431
O 9.750 -22.203 -1.145
C 9.008 -21.917 -0.215
O 9.337 -21.556 1.029
B 8.139 -21.031 1.751
O 7.014 -21.350 0.883
C 7.469 -21.850 -0.305
O 6.778 -22.196 -1.263
O 8.011 -21.607 3.113
C 7.880 -20.718 4.040
O 7.809 -20.860 5.275
C 7.945 -19.366 3.267
O 8.206 -19.578 2.019
O 7.723 -18.255 3.825
O 5.083 -23.519 1.748
H 5.505 -22.686 1.537
H 5.505 -24.155 1.170
- - -
2